In 1940, the Treasury Department holds a contest to choose an artist to paint a series of murals for the lobby of the Rincon Annex U.S. Post Office in San Francisco’s Embarcadero district.

The murals are to depict San Francisco history from the Spanish explorers to the present day. Eighty-three artists compete. Anton Refregier, a Russian immigrant and New York artist, is chosen.
In part because of the project scope, the commission is a hefty $26,000. Besides being the largest murals created through the jobs work programs of President Franklin Roosevelt’s New Deal, they are also the last. Interestingly, the first New Deal murals grace Coit Tower, walking distance from what’s now the Rincon Center.
Refregier begins painting but work is suspended after America enters World War II in late 1941. His work resumes in 1946, after the war ends. It takes two years for him to complete 27 panels covering 400 square feet of wall space.

Carol M Highsmith, photographer, 2012. Library of Congress
His panels depict the triumphs of San Francisco’s past, like the construction of the Golden Gate Bridge and the building of battleships for World War II.
But Refregier includes less proud moments in California history. One panel shows the Sand Lot Riot of 1877, in which Chinese immigrants were beaten by a white mob. On another panel is the 1934 waterfront strike by longshoremen that resulted in the killing of two protestors by the police.
Another mural captures the death and misery of the 1906 earthquake. Refregier’s depiction of the building of the Transcontinental Railroad focuses on the workers who carry water and lay track, rather than the men who engineered and financed the railway.

Carol M Highsmith, photographer. Library of Congress
Controversy over Refregier’s work begins even before he’s completed the panels. The Catholic Church objects to the depiction of a friar at Mission Dolores being portly, while the Native Americans at the mission appear to be starving. Refregier slims down the friar.

Carol M Highsmith, photographer, 2012. Library of Congress
A sign in one panel, titled “Torchlight Procession,” proclaims support for the 8-hour work day. Local public officials successfully push to excise the offending sign.

Unrelated to this article: records of crystals.
____________
Entry 1:
First-principles (GGA-PBE) data for CsTl3B after structural relaxation, as listed in Alexandria.

## Properties
* magnetic moment: 1.9 μB per cell
* energy above the most stable polymorph in this dataset: 115.7 kJ per mole of atoms
* calculated volume: 60.58 Å³/atom
* VASP energy: -1.121 eV per atom
* ΔH_f (0 K): 1.80 eV per atom
* symmetry: Pm-3m (221)

Cell lengths 6.7157, 6.7157, 6.7157 Å; angles 90.00, 90.00, 90.00 degrees
Positions (direct):
Cs  0.0000  0.0000  0.0000
Tl  0.5000  0.0000  0.0000
Tl  0.0000  0.5000  0.0000
B  0.5000  0.5000  0.5000
Tl  0.0000  0.0000  0.5000

Entry 2:
First-principles (GGA-PBE) data for GeS2Cl after structural relaxation, as listed in Alexandria.

## Properties
* magnetic moment: 1.9 μB per cell
* energy above the most stable polymorph in this dataset: 40.8 kJ per mole of atoms
* calculated volume: 23.76 Å³/atom
* E_form (uncorrected): 0.126 eV per atom
* VASP energy: -3.554 eV per atom
* symmetry: I-42d (122)

Cell lengths 6.7676, 6.7676, 6.3339 Å; angles 57.71, 57.71, 90.00 degrees
Positions (direct):
S  0.3750  0.2955  0.7500
Cl  0.5000  0.5000  0.0000
S  0.0455  0.6250  0.2500
S  0.7045  0.1250  0.2500
Ge  0.7500  0.2500  0.5000
Ge  0.0000  0.0000  0.0000
Cl  0.2500  0.7500  0.5000
S  0.8750  0.9545  0.7500

Entry 3:
First-principles (GGA-PBE) data for Ge2Pd4Se after structural relaxation, as listed in Alexandria.

## Properties
* magnetic moment: 0.0 μB per cell
* energy above the most stable polymorph in this dataset: 0.0 kJ per mole of atoms
* calculated volume: 17.56 Å³/atom
* E_form (uncorrected): -0.359 eV per atom
* VASP energy: -5.144 eV per atom
* symmetry: P1 (1)

Cell lengths 8.4687, 6.1476, 6.7973 Å; angles 110.89, 123.58, 98.85 degrees
Positions (direct):
Pd  0.3559  0.0550  0.2102
Pd  0.3960  0.5967  0.2909
Ge  0.7309  0.5740  0.4419
Pd  0.3401  0.4464  0.6091
Pd  0.4590  0.2093  0.9239
Pd  0.9798  0.5874  0.8899
Ge  0.1514  0.3112  0.7769
Se  0.0016  0.0429  0.0603
Pd  0.7865  0.0361  0.5766
Se  0.1906  0.7327  0.4406
Pd  0.8891  0.2896  0.3330
Ge  0.6244  0.2818  0.7236
Ge  0.5389  0.8810  0.0575
Pd  0.8057  0.7058  0.1656

Entry 4:
First-principles (GGA-PBE) data for CePmSn2 after structural relaxation, as listed in Alexandria.

## Properties
* magnetic moment: 0.0 μB per cell
* calculated volume: 32.08 Å³/atom
* VASP energy: -5.182 eV per atom
* ΔH_f (0 K): -0.51 eV per atom
* symmetry: R-3m (166)

Cell lengths 4.5364, 4.5364, 7.6625 Å; angles 72.78, 72.78, 60.00 degrees
Positions (direct):
Ce  0.0000  0.0000  0.0000
Sn  0.7474  0.7474  0.7578
Pm  0.5000  0.5000  0.5000
Sn  0.2526  0.2526  0.2422

Entry 5:
First-principles (GGA-PBE) data for HoTmNiRu after structural relaxation, as listed in Alexandria.

## Properties
* magnetic moment: 0.0 μB per cell
* energy above the most stable polymorph in this dataset: 1.9 kJ per mole of atoms
* calculated volume: 18.95 Å³/atom
* VASP energy: -6.474 eV per atom
* ΔH_f (0 K): -0.45 eV per atom
* symmetry: F-43m (216)
____________
Here the article continues.

Despite protesting many of the demanded changes, Refregier agrees to over 90 revisions to appease critics.
Nevertheless, the murals draw the ire of a Michigan congressman, George Dondero, chairman of the House Committee on Public Works and critic of modern art, which he deems “communistic because it is distorted and ugly.”
In 1953, Dondero holds a hearing on removing the murals for being “inconsistent with American ideals.”
The trial of the Rincon Annex murals begins.

Hubert B. Scudder, a California congressman on the subcommittee tasked with determining the mural’s fate, refers to it as “an insult to the state” and “anti-American in motif.”
The National Guardian newspaper reports on April 20, 1953 that Scudder says, “What if all this [the murals] was a part of American history? We want to forget it. … and the race business, why bring that up?”
Louise Gilbert, Refregier’s assistant, in a letter to the San Francisco Chronicle, June 25, 1953, writes, “The most charitable thing to be said of Rep. Hubert Scudder, who aired the mistaken charges against the murals in Congress, is that he has never seen them.”
Several arts organizations, city leaders and all three of San Francisco’s museums voice their support for the mural on the grounds that freedom of expression should be protected.
Scudder’s resolution to have the panels removed never makes it out of committee and the mural remains. Today, the Rincon Annex lobby and Refregier’s mural are a designated city landmark and listed on the National Register of Historic Places.
Says Refregier of his mural:
“There are those who would like to erase some regrettable parts of our historic heritage with a big historic lie. … I knew I would step on some tender toes, particularly in those quarters which never raise a voice against the overwhelming emphasis in our present day culture permeated with brutality, mysticism, a negation of life, a degradation of man.”
from the National Guardian, April 20, 1953.